## Material
┌──
1.
A relaxed K2TlOs crystal. Source: Alexandria via LeMat-Bulk, functional PBE.

Summary:
The value obtained for the total magnetization is 1.20 μB/cell. The calculation puts the total energy at -3.00 eV/atom. The value obtained for the formation energy is 0.952 eV/atom.

The structure in extended XYZ format:
```
4
Lattice="-5.400 1.605 -2.785 0.114 -2.066 -5.934 0.576 -2.458 5.755" Properties=species:S:1:pos:R:3 pbc="T T T"
Os -2.317 -0.202 -3.822
K -3.620 -0.532 -0.508
K -0.133 -0.012 -0.219
Tl -1.283 -2.404 -2.775
```

=====

2.
A relaxed Na2InSn crystal. Source: Alexandria via LeMat-Bulk, functional PBE.

Summary:
The value obtained for the total magnetization is 0.00 μB/cell. The calculation puts the total energy at -2.29 eV/atom. The value obtained for the formation energy is 0.054 eV/atom.

The structure in extended XYZ format:
```
8
Lattice="-2.254 7.268 -4.357 -6.456 -4.394 -3.989 -6.302 2.211 -1.875" Properties=species:S:1:pos:R:3 pbc="T T T"
Na -12.369 4.159 -8.723
Na -7.971 2.751 -4.523
In -8.556 -0.373 -5.019
Sn -6.455 5.458 -5.203
Na -3.799 4.571 -3.706
Na -5.884 -1.309 -3.492
In -4.355 1.437 -4.173
Sn 0.000 0.000 0.000
```

=====

3.
A relaxed K2Ac3Se3O2 crystal. Source: Alexandria via LeMat-Bulk, functional PBE.

Summary:
The value obtained for the total magnetization is 0.00 μB/cell. The calculation puts the total energy at -5.49 eV/atom. The calculation puts the uncorrected formation energy at -193 kJ/mol of atoms.

The structure in extended XYZ format:
```
10
Lattice="-2.000 -3.064 2.744 -1.725 -2.146 -3.652 13.218 -5.398 -0.207" Properties=species:S:1:pos:R:3 pbc="T T T"
Se 0.000 0.000 0.000
K 4.678 -5.533 1.042
Se 8.762 -6.175 -0.510
Ac 2.815 -1.984 -0.164
Ac 6.679 -8.624 -0.951
O 4.924 -7.387 -0.849
Se 0.732 -4.433 -0.605
O 4.570 -3.220 -0.266
Ac -1.862 -2.605 -0.454
K 4.816 -5.074 -2.157
```

=====

4.
A relaxed ThMnBe crystal. Source: Alexandria via LeMat-Bulk, functional PBE.

Summary:
The value obtained for the total magnetization is 2.15 μB/cell. The calculation puts the total energy at -6.69 eV/atom. The value obtained for the formation energy is 0.077 eV/atom.

The structure in extended XYZ format:
```
6
Lattice="-0.353 3.770 1.285 -1.796 -1.353 3.475 6.187 -2.324 2.294" Properties=species:S:1:pos:R:3 pbc="T T T"
Mn 1.473 0.652 4.713
Th -0.104 -1.105 3.213
Th 4.142 1.199 3.841
Be 2.564 -1.300 4.517
Be 1.474 1.394 2.537
Mn 2.565 -0.558 2.341
```

----------

No. 1
Crystalline BaUIrO6 at its relaxed geometry, computed with PBE-GGA.

The uncorrected formation energy is -2.234 eV per atom. Its density of states at the Fermi level is 17.18 states/eV per cell.

It has space group Imma (No. 74), with a = 7.206 Å, b = 7.894 Å, c = 10.588 Å, α = 90.00°, β = 90.00° and γ = 90.00°. The inequivalent atoms are Ba at (0.000, 0.250, 0.060), U at (0.000, 0.000, 0.500), Ir at (0.250, 0.250, 0.750), O at (0.000, 0.250, 0.418), O at (0.000, 0.250, 0.811) and O at (0.218, 0.069, 0.617).

***

No. 2
Crystalline Ba2UIr3O12 at its relaxed geometry, computed with PBE-GGA.

The uncorrected formation energy is -1.735 eV per atom. Its density of states at the Fermi level is 33.43 states/eV per cell.

It has space group R-3m (No. 166, hexagonal axes), with a = 7.1707 Å, b = 7.1707 Å, c = 18.4634 Å, α = 90.00°, β = 90.00° and γ = 120.00°. The inequivalent atoms are Ba at (0.0000, 0.0000, 0.1058), U at (0.0000, 0.0000, 0.5000), Ir at (0.0000, 0.5000, 0.0000), O at (0.0463, 0.5231, 0.1074) and O at (0.0523, 0.5261, 0.3492).

***

Number 1: calculated total energy -287.697 eV/cell. Number 2: calculated total energy -397.342 eV/cell.
└──
## Assignment
The reader should search the data further up for the word "obtained" and write out each line that has it.
## Here it is
The value obtained for the total magnetization is 1.20 μB/cell. The calculation puts the total energy at -3.00 eV/atom. The value obtained for the formation energy is 0.952 eV/atom.
The value obtained for the total magnetization is 0.00 μB/cell. The calculation puts the total energy at -2.29 eV/atom. The value obtained for the formation energy is 0.054 eV/atom.
The value obtained for the total magnetization is 0.00 μB/cell. The calculation puts the total energy at -5.49 eV/atom. The calculation puts the uncorrected formation energy at -193 kJ/mol of atoms.
The value obtained for the total magnetization is 2.15 μB/cell. The calculation puts the total energy at -6.69 eV/atom. The value obtained for the formation energy is 0.077 eV/atom.